Join the Tenure Track at TUM

TUM Faculty Tenure Track is the performance-driven career path for promising early-career scientists with international experience.

Jia Chen, professor for environmental sensing and modelling, crossing a street in Munich

It is the first true tenure-track system based on international standards at a German university: the TUM Faculty Tenure Track, which leads to a permanent W3 professorship upon successful evaluation.

For the TUM tenure track program, we seek early career scientists with first scientific successes and a convincing research program. The W2 professorship is limited to 6 years with a tenure option - that means the chance of promotion to a permanent W3 professorship.

During the tenure track phase

From appointment to tenure evaluation

Assistant professors are expected to develop their academic profile during the tenure track phase. To give them guidance, they are accompanied by a mentoring team comprised of experienced professors.

The university follows the progress of its assistant professors through performance interviews and status assessments, and can thus provide targeted and individual support for their career development. The quality-based tenure evaluation following international best practice takes place at the end of the tenure track phase. A positive result is required for promotion to a tenured W3 professorship.

Which development opportunities do assistant professors have?

Assistant professors are on pay scale W2 and their appointment is temporary, usually for six years but always on a track to be tenured. This option means that they will be promoted to a tenured W3 associate professorship after a positive tenure evaluation, and will be offered a salary and resources package. Later in their career, they could be appointed to a full professorship (also W3, with supplemental package) if they meet TUM’s demanding performance criteria.

Evaluation and promotion

Questions about the application?

Details on the process from application to appointment, the necessary documents, the exact entry requirements and more.

Application FAQ

Attractive resources

To ensure their independence in research and teaching, TUM Tenure Track Assistant Professors (W2) receive a competitive entry package and are free to apply for external funding for their own research. They are not answerable to any chair, and have the same rights and obligations as all other professors within their department and at the university as a whole. The entry package features:

  • A position for a research associate

  • An annual budget

  • Required room infrastructure (e.g. lab and office space)

  • Access to the scientific infrastructure

  • Active support in developing the professorship (e.g. through the schools’ onboarding offices, their mentoring team, dean, or the TUM Faculty Tenure Treack Recruitment Team)

Additional resources can be negotiated individually and will depend on the requirements of the specific field of research.

Academic freedom

  • Equal institutional rights: Assistant professors (W2) have the same institutional rights and obligations within their school and at the university as a whole as all other TUM professors. They are fully integrated into university decision-making processes.
  • Doctorates and examinations: Assistant professors can supervise doctoral students independently and exercise all examination rights and obligations.
  • Eligibility for third-party funding: Assistant professors are entitled to apply for external funding and use this for their own research and teaching activities.

Research funding support Doctorates: TUM Graduate School Teaching and examination ressources

Reduced teaching workload

Assistant professors are required to teach for only five hours per week during the semester instead of the usual nine so that they can dedicate more time to their research activities. Depending on their school, this teaching can take the form of lectures, tutorials, seminars or general undergraduate teaching. Following a positive tenure evaluation, they will be required to teach for nine hours per week, which is the usual workload at German universities.

Teaching at TUM

Balancing career and family life

TUM offers a wide range of support for academics to reconcile their professional obligations with their family life.

The TUM Faculty Tenure Track career system also takes family commitments into account – offering, for instance, more flexible working hours and factoring a researcher’s family situation into their performance evaluations.

Misplaced data records
____________
Starting from a structure optimized by DFT (PBE), the XRD peak list of Pm5NdAl4 was calculated for Cu Kα, 1.54184 Å.
Peak positions follow from Bragg's law for the DFT cell and can differ from measured ones.

```
10
Lattice="3.6693 0.0000 0.0000 0.0000 3.6693 0.0000 0.0000 0.0000 20.3129" Properties=species:S:1:pos:R:3 pbc="T T T"
Pm 0.0000 0.0000 0.0000
Pm 0.0000 0.0000 3.7499
Pm 0.0000 0.0000 7.4969
Pm 0.0000 0.0000 12.8160
Pm 0.0000 0.0000 16.5631
Nd 1.8346 1.8346 10.1565
Al 1.8346 1.8346 1.8780
Al 1.8346 1.8346 5.6519
Al 1.8346 1.8346 14.6610
Al 1.8346 1.8346 18.4349
```

Most intense lines, 2θ = 10–90°, sorted by position:
hkl 1 0 0, d 3.669, intensity 38
hkl 0 0 6, d 3.385, intensity 17
____________
Back to the entry

Tenure Track: Family and career

An excellent environment

Tenure Track Professors are joining a community of excellent scientists with entering this university. This environment gives them a world-class benchmark against which they can measure their own work. Assistant professors can therefore test their own scientific creativity while working on complex interdisciplinary research projects.

Jasmin Meinecke works at the Cluster of Excellence MCQST on developing entanglement detection schemes

Cluster of Excellence

We conduct research on the origin of the universe and life, sustainable energy supply, quantum technology and systems neurology in four clusters of excellence together with top-class partners.

Clusters at a glance
Prof. Julijana Gjorgijeva and Prof. Simon Jacob

Our professors

Get to know our international faculty of 698 outstanding scientists who research and teach at our university.

Profiles of our professors
Students walking through the entrance hall of the newly finished building for the TUM Department of Electrical and Computer Engineering on the Garching campus (Image: Andreas Heddergott / TUM).

Schools and research centers

Our schools form the academic foundation of our university, connected by integrative research institutes at the interfaces between disciplines to create an innovation-friendly matrix.

Schools and research centers

Do you have any questions? Contact us

Technical University of Munich
Faculty Recruitment, Career Advancement and Dual Career
Arcisstr. 21
D-80333 Munich

Entire Team

Data protection notice

When applying for a position at the Technical University of Munich (TUM), you are submitting personal information. As such, we request that you take note of the privacy policy as stated in Art. 13 of the General Data Protection Regulation (GDPR) for the collection and processing of personal data in the context of your application (Datenschutzhinweise gemäß Art. 13 Datenschutz-Grundverordnung (DSGVO) zur Erhebung und Verarbeitung von personenbezogenen Daten im Rahmen Ihrer Bewerbung). By submitting your application, you confirm that you have acknowledged the above data protection information.

Documents on the faculty recruitment and career system at TUM

TUM Faculty Recruitment and Career System

Regulations on the TUM Faculty Tenure Track

TUM Faculty Recruitment Code of Conduct

Find further documents in the service compass